If you said “teh heterostoopid ghey-bashers”, you’re right!
(Inserted here: calculated molecules)
┌──
[1]
Formula: C9H80N2O36S
Source: the Open Molecules 2025 dataset
Level of theory: the ωB97M-V functional and the def2-TZVPD basis

The HOMO-LUMO gap is 8.831 eV.

```
128
Properties=species:S:1:pos:R:3:forces:R:3
N -0.467 -2.949 2.200 1.4 -10.1 6.2
C -0.585 -2.031 1.655 -1.4 8.8 -5.4
C -0.641 -0.849 0.848 0.2 -0.3 -0.8
C -1.527 -1.115 -0.344 -1.4 -0.2 0.8
C -2.984 -1.124 0.124 0.5 1.0 -0.8
C -3.823 -0.127 -0.658 -0.3 -0.7 0.5
C -4.546 0.780 0.284 0.4 -0.2 -0.9
O -3.630 1.674 0.851 0.2 0.3 1.0
C 0.812 -0.526 0.479 -0.2 0.4 0.7
C 1.125 -0.934 -0.848 -1.8 2.4 9.2
N 1.296 -1.143 -1.889 2.3 -2.7 -10.9
C 1.229 0.884 0.812 -0.1 0.2 -0.5
S 0.449 2.150 -0.153 0.8 0.6 0.4
O 0.342 1.804 -1.507 0.7 -1.1 -2.7
O -0.775 2.563 0.415 -1.5 0.6 2.0
H -1.077 -0.105 1.478 -0.2 1.1 0.2
H -1.432 -0.377 -1.106 0.5 0.6 -0.5
H -1.358 -2.080 -0.766 0.7 -0.6 -0.5
H -3.043 -0.826 1.147 0.1 0.0 1.0
H -3.400 -2.093 0.026 -0.4 -1.0 0.0
H -3.244 0.470 -1.322 0.6 0.4 -0.6
H -4.493 -0.692 -1.258 -0.9 -0.2 -0.7
H -4.951 0.180 1.056 -0.9 -0.3 0.9
H -5.310 1.299 -0.258 -0.8 0.4 -0.1
H -3.597 2.423 0.265 0.4 0.7 -0.2
H 1.398 -1.148 1.112 0.9 -0.4 0.7
H 0.929 1.054 1.816 -0.2 0.4 1.0
H 2.303 1.004 0.817 0.1 0.2 -0.5
H 1.289 3.204 -0.066 0.4 -0.2 0.3
O -2.823 4.332 -0.220 0.1 0.6 0.0
H -1.909 4.174 0.049 -0.1 -0.5 -0.1
H -2.748 4.749 -1.091 -0.2 -0.1 -0.1
O -4.369 5.071 -2.859 0.0 -0.3 0.1
H -4.981 5.162 -2.112 -0.2 0.2 -0.1
H -4.761 5.616 -3.549 0.1 0.2 0.0
O 3.463 1.311 2.339 0.6 0.0 0.3
H 3.775 0.566 2.865 -0.1 0.0 0.2
H 3.822 2.079 2.796 -0.1 0.0 0.0
O -2.160 -3.348 -2.958 -0.1 0.3 0.2
H -1.431 -3.312 -3.586 -0.1 -0.1 -0.2
H -2.422 -4.271 -2.975 0.0 -0.1 0.1
O 2.587 -2.485 3.713 0.0 0.4 -0.2
H 3.095 -2.396 2.900 0.1 0.0 0.0
H 1.667 -2.457 3.413 -0.1 -0.4 0.1
O -1.726 7.413 0.704 0.1 -0.2 0.2
H -1.042 7.369 0.030 0.0 0.1 -0.1
H -2.055 6.509 0.767 -0.3 0.0 -0.1
O -3.722 0.830 -3.693 -0.7 -0.7 0.5
H -3.499 1.713 -3.392 0.2 0.2 -0.2
H -3.174 0.713 -4.467 0.1 0.2 -0.2
O -7.376 -0.616 -0.563 -0.1 0.0 -0.1
H -8.041 -0.560 0.130 0.1 0.0 0.2
H -7.739 -0.097 -1.286 0.0 0.0 -0.1
O 4.281 -1.867 -2.979 0.2 0.2 -0.3
H 3.578 -1.795 -2.323 -0.1 0.0 0.0
H 3.908 -1.439 -3.757 -0.2 0.1 0.1
O -6.597 6.074 -1.260 0.1 0.1 -0.1
H -7.472 6.281 -1.599 -0.1 -0.1 -0.1
H -6.305 6.891 -0.833 0.0 -0.1 0.3
O -1.302 -2.457 -5.609 0.1 0.1 0.0
H -1.481 -1.653 -5.111 -0.1 0.0 0.0
H -1.131 -2.155 -6.505 0.0 -0.1 -0.1
O 0.159 -4.985 -2.509 0.2 -0.1 -0.1
H 0.169 -4.077 -2.192 -0.1 0.0 0.1
H 0.243 -5.530 -1.720 0.0 0.0 0.2
O 2.518 -0.074 5.430 0.2 0.0 -0.1
H 2.543 -0.859 4.871 -0.1 -0.2 -0.1
H 3.250 -0.223 6.045 0.0 0.2 0.2
O 0.193 4.669 2.342 -0.1 0.0 -0.2
H -0.139 5.568 2.254 0.0 0.1 0.1
H -0.512 4.114 1.984 0.1 -0.1 0.1
O 6.863 -1.597 -5.187 0.0 0.2 0.0
H 6.147 -1.546 -4.547 0.0 -0.2 0.1
H 6.499 -1.210 -5.989 0.0 0.0 -0.1
O 6.989 -0.764 -2.128 -0.1 0.2 0.0
H 7.536 -0.525 -2.883 0.1 -0.1 0.0
H 6.090 -0.800 -2.483 0.0 -0.2 0.2
O 3.701 -4.218 -5.257 -0.1 0.1 -0.1
H 3.941 -3.504 -4.658 0.1 -0.1 0.2
└──
(Back to the text)
They don’t know what they’re trying to stop, yet they still passed a law intended to stop it? Wow. How dumbass is that? Wait, it gets even dumber:A federal judge challenged the backers of California’s voter-enacted ban on same-sex marriage Wednesday to explain how allowing gay couples to wed threatens conventional unions, a demand that prompted their lawyer to acknowledge he did not know.The unusual exchange between U.S. District Chief Judge Vaughn Walker and Charles Cooper, a lawyer for the group that sponsored Proposition 8, came during a hearing on a lawsuit challenging the measure as discriminatory under the U.S. Constitution.Cooper had asked Walker to throw out the suit or make it more difficult for those civil rights claims to prevail.[…]The question is relevant to the assertion that Proposition 8 is constitutionally valid because it furthers the states goal of fostering “naturally procreative relationships,” Walker explained.“What is the harm to the procreation purpose you outlined of allowing same-sex couples to get married?” Walker asked.“My answer is, I don’t know. I don’t know,” Cooper answered.
So that’s why these concern trolls passed a deliberately discriminatory law? Just to “step back and let the experiment unfold”? I call bullshit.Apparently, so does His Honor:“There are things we can’t know, that’s my point,” Cooper said. “The people of California are entitled to step back and let the experiment unfold in Massachusetts and other places, to see whether our concerns about the health of marital unions have either been confirmed or perhaps they have been completely assuaged.”
'''
Formula: C4H7NO
Source: the OMol25 dataset
Level of theory: wB97M-V/def2-TZVPD

Geometry as XYZ:
```
13
C4H7NO, DFT wB97M-V/def2-TZVPD
C -0.213 -0.899 -0.841
C -1.222 -0.452 -0.090
C -1.748 0.867 -0.314
N -2.110 1.944 -0.537
H 0.267 -1.850 -0.641
H 0.088 -0.350 -1.725
H -1.694 -1.057 0.675
H 0.283 0.052 1.870
H -0.445 -0.075 1.776
C 1.677 0.450 -0.052
O 1.877 0.200 1.113
H 2.166 -0.144 -0.843
H 1.073 1.314 -0.390
```

## Properties
Energy relative to the best compared isomer or geometry (same formula, charge and spin) ... 4.2944 eV
SMILES ... C=CC#N.[H][H].C=O
Electronic energy ... -7795.350 eV
Orbital gap ... 10.1 eV
Charge ... 0
HOMO energy ... -10.35 eV

Want to see where the charge sits? The Löwdin charges in e are: C -0.036; C -0.231; C -0.239; N 0.159; H 0.094; H 0.087; H 0.101; H 0.083; H 0.064; C -0.207; O -0.064; H 0.092; H 0.097

----------

Molecular formula: C8H15ClGa2NO2
Method: DFT, ωB97M-V/def2-TZVPD

Calculated values
**Charge**: -1
**HOMO (alpha / beta)**: -4.74 / -3.80 eV
**LUMO (alpha / beta)**: 2.59 / 3.10 eV

Cartesian coordinates (Å):
Ga: -0.15 -1.26 0.58
Cl: 0.04 0.77 -0.82
C: -2.09 -1.49 0.83
H: -2.43 -2.17 1.64
H: -2.48 -1.86 -0.14
H: -2.46 -0.48 1.04
Ga: 0.22 0.11 -2.95
C: -1.46 0.68 -3.87
C: 1.82 1.18 -3.56
C: 0.45 -1.81 -3.13
H: 2.58 1.03 -2.78
H: 2.21 0.81 -4.51
H: 1.60 2.24 -3.65
H: -2.28 0.22 -3.31
H: -1.61 1.77 -3.90
H: -1.47 0.31 -4.90
H: -0.39 -2.46 -3.46
H: 1.45 -2.27 -3.17
O: -0.21 2.07 1.79
C: 0.24 1.22 2.51
C: 0.72 1.36 3.95
C: 0.81 -0.06 4.49
C: 0.52 -0.94 3.28
O: 0.36 -2.16 3.23
N: 0.40 -0.15 2.17
H: 1.72 1.83 3.94
H: 0.01 1.98 4.52
H: 1.82 -0.26 4.87
H: 0.07 -0.23 5.28

Molecular formula: C50H40BF10N8O5PS2Y
Method: DFT, ωB97M-V/def2-TZVPD

Calculated values
**Energy above the lowest of the compared OMol25 structures with the same formula, charge and spin**: 0.0 kJ/mol
**Charge**: -1
**HOMO**: -5.00 eV
**LUMO**: 0.96 eV

Cartesian coordinates (Å):
Y: -0.05 -0.18 -0.36
C: -4.96 -1.29 2.77
C: -3.93 -2.21 2.60
C: -3.02 -2.07 1.56
C: -3.14 -1.00 0.68
C: -4.15 -0.07 0.85
C: -5.06 -0.22 1.90
N: -2.22 -0.95 -0.42
C: -2.69 -1.20 -1.63
C: -4.08 -1.44 -1.93
C: -4.46 -1.87 -3.16
C: -3.52 -2.11 -4.20
C: -2.20 -1.89 -3.98
C: -1.75 -1.41 -2.71
N: -0.46 -1.21 -2.42
N: 0.41 -1.67 -3.25
C: 1.69 -1.65 -2.75
C: 2.70 -2.25 -3.53
C: 3.97 -2.36 -3.02
C: 4.23 -1.88 -1.73
C: 3.20 -1.29 -1.04
N: 1.97 -1.14 -1.54
H: -5.66 -1.40 3.58
H: -3.83 -3.05 3.28
H: -2.21 -2.78 1.43
H: -4.21 0.78 0.18
H: -5.84 0.52 2.03
H: -4.82 -1.27 -1.16
H: -5.51 -2.03 -3.36
H: -3.86 -2.46 -5.17
H: -1.46 -2.03 -4.75
H: 2.42 -2.64 -4.50
H: 4.76 -2.81 -3.60
H: 5.21 -1.97 -1.28
H: 3.35 -0.92 -0.03
C: -0.23 -4.39 -1.60
N: 0.05 -3.30 -0.67
C: 0.74 -3.61 0.36
C: 1.17 -2.67 1.35
C: 1.88 -2.98 2.50
C: 2.12 -1.76 3.16
C: 1.54 -0.78 2.37
N: 0.96 -1.31 1.26
C: -1.45 -5.21 -1.22
C: -1.37 -6.59 -1.12
C: -2.50 -7.35 -0.82
C: -3.72 -6.73 -0.60
C: -3.80 -5.34 -0.68
C: -2.67 -4.59 -0.99
H: 0.63 -5.06 -1.67
H: -0.39 -3.95 -2.59
H: 1.06 -4.64 0.53
H: 2.16 -3.97 2.83
'''
Yeah, that reminds me: Why is it okay to burn crosses on black people’s lawns, but not let same-sex couples marry? I can easily demonstrate the harm to children that witnessing a cross-burning does, and I’m not even a lawyer. Can the gay-bashers demonstrate the harm that a same-sex marriage would allegedly do?Moreover, why wait to see what happens in Massachusetts? The article goes on to note that 18,000 same-sex couples were married in California before Prop H8 took effect, and that the courts have ruled that their marriages are valid. Why not look at what happens in California, instead of all the way across the Fruited Plain (pardon the unintended pun)?I have a fair idea of why they won’t. They will do their damnedest to deflect attention away from that salient fact because to admit that those 18,000 California same-sex marriages are valid means there’s no harm done to the kids–and indeed, no harm done to anything except maybe old worn-out bigotries dressed up as “traditional family values”!Walker pressed on, asking again for specific “adverse consequences” that could follow expanding marriage to include same-sex couples. Cooper cited a study from the Netherlands, where gay marriage is legal, showing that straight couples were increasingly opting to become domestic partners instead of getting married.“Has that been harmful to children in the Netherlands? What is the adverse effect?” Walker asked.Cooper said he did not have the facts at hand.“But it is not self-evident that there is no chance of any harm, and the people of California are entitled not to take the risk,” he said.“Since when do Constitutional rights rest on the proof of no harm?” Walker parried, adding the First Amendment right to free speech protects activities that many find offensive, “but we tolerate those in a free society.”
**Attached: calculated molecules**
____________
[1]
Entry from the Open Molecules 2025 dataset: a cluster of 6 separate species, C31H62ClNO8P in total (ωB97M-V/def2-TZVPD).

Last column: Löwdin spin population.
Geometry (Å):
C1 1.265 -1.792 0.542  0.0000
C2 0.760 -0.418 0.044  0.0000
C3 1.802 0.207 -0.895  0.0000
C4 0.448 0.541 1.205  0.0000
C5 -0.893 1.282 1.091  0.0000
C6 -1.020 2.384 2.137  0.0000
C7 -2.041 0.285 1.201  0.0001
O1 -3.315 0.934 1.193  0.0003
C8 -4.249 0.566 0.187  0.0009
P1 -4.757 -1.277 0.231  0.0013
O2 -4.077 -1.798 1.625  0.0003
Cl1 -3.389 -2.169 -1.050  0.0006
C9 -3.815 0.915 -1.238  0.0167
C10 -3.923 2.389 -1.654  0.0259
C11 -3.833 2.459 -3.187  -0.0012
C12 -2.782 3.253 -1.099  0.0034
N1 -5.257 2.929 -1.256  0.3758
O3 -6.188 2.606 -2.076  0.5250
C13 -5.665 2.750 0.164  0.0259
C14 -4.856 3.620 1.130  0.0024
C15 -7.134 3.192 0.286  -0.0010
C16 -5.564 1.269 0.545  0.0166
H1 0.840 -2.601 -0.048  0.0000
H2 2.351 -1.836 0.457  0.0000
H3 0.977 -1.980 1.576  0.0000
H4 -0.134 -0.600 -0.558  0.0000
H5 1.360 1.053 -1.423  0.0000
H6 2.664 0.526 -0.316  0.0000
H7 2.088 -0.528 -1.649  0.0000
H8 0.483 0.035 2.173  0.0000
H9 1.220 1.312 1.230  0.0000
H10 -0.928 1.711 0.083  0.0000
H11 -1.366 1.987 3.092  0.0000
H12 -1.693 3.182 1.827  0.0000
H13 -0.046 2.847 2.307  0.0000
H14 -1.957 -0.448 0.406  0.0000
H15 -1.944 -0.246 2.151  0.0000
H16 -4.577 -1.476 2.376  0.0001
H17 -2.786 0.598 -1.415  0.0011
H18 -4.440 0.342 -1.928  0.0018
H19 -2.792 2.314 -3.473  -0.0004
H20 -4.180 3.423 -3.547  -0.0002
H21 -4.405 1.665 -3.659  -0.0003
H22 -1.879 3.088 -1.681  -0.0004
H23 -2.574 3.071 -0.054  0.0000
H24 -3.045 4.306 -1.214  0.0016
H25 -5.334 3.577 2.107  -0.0004
H26 -3.840 3.276 1.270  0.0000
H27 -4.827 4.655 0.792  0.0012
H28 -7.808 2.448 -0.124  -0.0003
H29 -7.360 3.342 1.340  -0.0004
H30 -7.263 4.130 -0.248  -0.0001
H31 -6.397 0.721 0.104  0.0023
H32 -5.685 1.216 1.631  0.0014
C17 4.938 1.893 3.026  0.0000
C18 5.213 1.956 1.545  0.0000
O4 4.395 1.579 0.734  0.0000
C19 6.553 2.498 1.119  0.0000
H33 3.942 1.489 3.195  0.0000
H34 5.667 1.246 3.517  0.0000
H35 5.003 2.890 3.464  0.0000
H36 7.355 1.890 1.540  0.0000
H37 6.674 3.520 1.482  0.0000
H38 6.632 2.492 0.038  0.0000
C20 6.462 -2.026 6.650  0.0000
C21 6.123 -1.216 5.422  0.0000
O5 6.078 -0.009 5.454  0.0000
C22 5.841 -1.988 4.155  0.0000
H39 6.642 -1.360 7.490  0.0000
H40 5.639 -2.701 6.891  0.0000
H41 7.355 -2.627 6.466  0.0000
H42 4.996 -2.661 4.309  0.0000
H43 6.711 -2.587 3.881  0.0000
H44 5.607 -1.300 3.346  0.0000
C23 -0.814 -3.984 -2.382  0.0000
C24 -0.113 -4.275 -3.687  0.0000
O6 0.541 -3.435 -4.258  0.0000
C25 -0.274 -5.670 -4.244  0.0000
H45 -0.625 -2.954 -2.091  0.0000
H46 -1.887 -4.140 -2.496  0.0000
H47 -0.447 -4.654 -1.602  0.0000
H48 -1.329 -5.883 -4.419  0.0000
H49 0.110 -6.403 -3.533  0.0000
H50 0.273 -5.754 -5.180  0.0000
C26 -6.331 -4.288 -1.530  0.0000
C27 -6.848 -5.260 -2.563  0.0000
O7 -6.106 -5.990 -3.175  0.0000
C28 -8.341 -5.274 -2.796  0.0000
H51 -5.251 -4.375 -1.459  0.0000
H52 -6.590 -3.265 -1.810  0.0000
____________
Bina, have you looked at the last Hojilla? If you haven’t you should. Amorim and Mango are back from Honduras with a lot of very interesting video footage …
I’ll be watching it later tonight. Haven’t had a chance to see it yet, but I never miss an episode once it’s posted.